Pretty early on in the planning stages for This Is Nowhere, it was clear that it would be a client-server system. Web or mobile app clients would check in with a central server for authentication as well as to get the latest updated version of the content. We'd also need to keep track of where the audience members were headed, to ensure we didn't break capacity limits for some of the venues.
## Unrelated to this page: crystal structures
~~~
Compound: W3AuO
Source: Alexandria
Functional: PBE with a Hubbard U
Structure: relaxed

As for the relative energy among the computed polymorphs: 1.7925 eV per atom. The energy comes out at -0.2582 Ry/atom.

It has space group Pm-3m (No. 221), with a = 5.186 Å, b = 5.186 Å, c = 5.186 Å, α = 90.00°, β = 90.00° and γ = 90.00°. Symmetry generates all atoms from W at (0.000, 0.000, 0.500), Au at (0.000, 0.000, 0.000) and O at (0.500, 0.500, 0.500).

=====

# PBE Pm2AgPt, relaxed
data_Pm2AgPt
_chemical_formula_sum 'Pm8 Ag4 Pt4'
_cell_length_a 7.292
_cell_length_b 7.292
_cell_length_c 7.292
_cell_angle_alpha 90.00
_cell_angle_beta 90.00
_cell_angle_gamma 90.00
_symmetry_space_group_name_H-M 'F m -3 m'
_symmetry_Int_Tables_number 225
_symmetry_space_group_name_Hall '-F 4 2 3'
loop_
_atom_site_label
_atom_site_fract_x
_atom_site_fract_y
_atom_site_fract_z
Pm1 0.250 0.250 0.250
Ag1 0.000 0.000 0.000
Pt1 0.000 0.000 0.500
# DOS at the Fermi energy in states/eV/atom: 0.601
# Formation enthalpy at 0 K in meV/atom: -684
# E above lowest polymorph in meV/atom: 51



# PBE Pm4AgPt2, relaxed
data_Pm4AgPt2
_chemical_formula_sum 'Pm16 Ag4 Pt8'
_cell_length_a 13.294
_cell_length_b 9.325
_cell_length_c 9.408
_cell_angle_alpha 90.00
_cell_angle_beta 134.95
_cell_angle_gamma 90.00
_symmetry_space_group_name_H-M 'C 1 2/c 1'
_symmetry_Int_Tables_number 15
loop_
_symmetry_equiv_pos_as_xyz
'x,y,z'
'-x,-y,-z'
'-x,y,-z+1/2'
'x,-y,z+1/2'
'x+1/2,y+1/2,z'
'-x+1/2,-y+1/2,-z'
'-x+1/2,y+1/2,-z+1/2'
'x+1/2,-y+1/2,z+1/2'
loop_
_atom_site_label
_atom_site_fract_x
_atom_site_fract_y
_atom_site_fract_z
Pm1 0.000 0.204 0.064
Pm2 0.186 0.454 0.935
Ag1 0.000 0.125 0.750
Pt1 0.000 0.500 0.000
Pt2 0.250 0.250 0.500
# DOS at the Fermi energy in states/eV/atom: 0.901
# Formation enthalpy at 0 K in meV/atom: -636



# PBE PmAgPtRh, relaxed
data_PmAgPtRh
_chemical_formula_sum 'Pm4 Ag4 Pt4 Rh4'
_cell_length_a 6.740
_cell_length_b 6.740
_cell_length_c 6.740
_cell_angle_alpha 90.00
_cell_angle_beta 90.00
_cell_angle_gamma 90.00
_symmetry_space_group_name_H-M 'F -4 3 m'
_symmetry_Int_Tables_number 216
_symmetry_space_group_name_Hall 'F -4 2 3'
loop_
_atom_site_label
_atom_site_fract_x
_atom_site_fract_y
_atom_site_fract_z
Pm1 0.000 0.000 0.000
Ag1 0.000 0.000 0.500
Pt1 0.250 0.250 0.250
Rh1 0.250 0.250 0.750
# DOS at the Fermi energy in states/eV/atom: 0.505
# Formation enthalpy at 0 K in meV/atom: -438



# PBE PmAgSbPt, relaxed
data_PmAgSbPt
_chemical_formula_sum 'Pm4 Ag4 Sb4 Pt4'
_cell_length_a 7.042
_cell_length_b 7.042
_cell_length_c 7.042
_cell_angle_alpha 90.00
_cell_angle_beta 90.00
_cell_angle_gamma 90.00
_symmetry_space_group_name_H-M 'F -4 3 m'
_symmetry_Int_Tables_number 216
_symmetry_space_group_name_Hall 'F -4 2 3'
loop_
_atom_site_label
_atom_site_fract_x
_atom_site_fract_y
_atom_site_fract_z
Pm1 0.000 0.000 0.000
Ag1 0.250 0.250 0.750
Sb1 0.000 0.000 0.500
Pt1 0.250 0.250 0.250
# DOS at the Fermi energy in states/eV/atom: 0.498
# ΔE_f (raw) in eV/atom: -0.59
~~~
Early on, I had considered having all of the data stored locally in the app, but it became pretty clear that the content would be constantly evolving and changing throughout the process, and up to the last minute. Instead, this project would need a server-hosted content management system to specify all the details about the locations and their related stories.
While many aspects of the client side of things were going to be new technologies for me, such as Swift and React Native, the server side would be something of a relief, built in technologies I’ve been working with for many years: a Ruby on Rails app with a PostgresSQL back-end and hosted on Heroku.
• Unrelated to this article: materials data:
-- begin --
1.
Computed, not measured: an optimized crystal structure of BaErPb2 at the PBE level of DFT.

a = 5.151 Å, b = 5.151 Å, c = 7.083 Å
α = 68.68°, β = 68.68°, γ = 60.00°
Atoms (fractional coordinates):
Pb 0.273 0.273 0.180
Pb 0.727 0.727 0.820
Ba 0.500 0.500 0.500
Er 0.000 0.000 0.000

Properties
The value obtained for the calculated formation energy is -0.356 eV/atom. As for the magnetic moment: 0.000 μB per formula unit. For the volume, the calculation gives 148 Å³ per cell. The value obtained for the density of states at the Fermi level is 4.32 states/eV per cell.

=====

2.
Computed, not measured: an optimized crystal structure of NaBe2ZnRu at the PBE level of DFT.

a = 4.159 Å, b = 4.564 Å, c = 4.159 Å
α = 90.00°, β = 90.00°, γ = 90.00°
Atoms (fractional coordinates):
Ru 0.500 0.500 0.500
Zn 0.000 0.000 0.000
Be 0.000 0.000 0.500
Be 0.500 0.000 0.000
Na 0.000 0.500 0.000

Properties
The value obtained for the calculated formation energy is 1.204 eV/atom. As for the magnetic moment: 1.060 μB per formula unit. For the volume, the calculation gives 79 Å³ per cell. The value obtained for the density of states at the Fermi level is 3.19 states/eV per cell.

=====

3.
Computed, not measured: an optimized crystal structure of Sm3Dy2Tm6Pb at the PBE level of DFT.

a = 6.083 Å, b = 6.083 Å, c = 11.594 Å
α = 95.04°, β = 95.04°, γ = 119.99°
Atoms (fractional coordinates):
Sm 0.167 0.833 0.500
Sm 0.833 0.167 0.500
Sm 0.500 0.500 0.500
Dy 0.334 0.666 0.000
Dy 0.666 0.334 0.000
Tm 0.919 0.590 0.754
Tm 0.752 0.752 0.247
Tm 0.081 0.410 0.246
Tm 0.590 0.919 0.754
Tm 0.248 0.248 0.753
Tm 0.410 0.081 0.246
Pb 0.000 0.000 0.000

Properties
The value obtained for the calculated formation energy is -0.049 eV/atom. As for the magnetic moment: 0.005 μB per formula unit. For the volume, the calculation gives 366 Å³ per cell. The value obtained for the density of states at the Fermi level is 15.75 states/eV per cell.

=====

4.
Computed, not measured: an optimized crystal structure of CaHg3Pd2 at the PBE level of DFT.

a = 4.287 Å, b = 8.586 Å, c = 8.586 Å
α = 62.48°, β = 75.54°, γ = 75.54°
Atoms (fractional coordinates):
Ca 0.867 0.133 0.133
Ca 0.133 0.867 0.867
Hg 0.324 0.465 0.887
Hg 0.000 0.342 0.658
Hg 0.676 0.113 0.535
Hg 0.324 0.887 0.465
Hg 0.000 0.658 0.342
Hg 0.676 0.535 0.113
Pd 0.500 0.147 0.853
Pd 0.500 0.853 0.147
Pd 0.804 0.696 0.696
Pd 0.196 0.304 0.304

Properties
The value obtained for the calculated formation energy is -0.335 eV/atom. As for the magnetic moment: 0.000 μB per formula unit. For the volume, the calculation gives 268 Å³ per cell. The energy above the most stable polymorph in this dataset is 0 meV per atom. The value obtained for the density of states at the Fermi level is 4.59 states/eV per cell.

=====

5.
Computed, not measured: an optimized crystal structure of ScTi2F at the PBE level of DFT.

a = 4.640 Å, b = 4.640 Å, c = 4.640 Å
α = 60.00°, β = 60.00°, γ = 60.00°
Atoms (fractional coordinates):
Sc 0.500 0.500 0.500
-- stop --
Rails lets you build and modify full featured web apps quickly and cleanly. It’s been my tool of choice and sometimes secret weapon in my freelance work for over a decade now. Data listings and forms are easy to set up. Most importantly for this project, it lets you describe complex data models with just a few lines of code. Outputting simple data in JSON format only takes a “.to_json” method, while complex data can be handled with a fairly simple description file.
Heroku is a cloud-based hosting platform I use for all of my Rails projects. Launching a new project on Heroku from scratch takes only a few minutes. Scaling on Heroku is a simple matter of moving a slider and picking from a menu on a web interface, or running a single line in a terminal.
The great thing with using Heroku for a theatre project is that it tracks billing by the minute. When we only have a handful of people working on the content or testing the client apps, I could run it on a single inexpensive instance for about $7 a month. When time came for the live show with hundreds of people hitting it in real time, I could ramp it up to multiple monster dedicated multicore servers to deal with the traffic - BUT ONLY FOR THE FEW HOURS OF THE SHOW and then dial it back to the base level again afterwards.
This heavy capacity would normally cost thousands of dollars per month - but for just five “shows” of about four hours each, the total hosting cost was about $30 - less than a round of drinks at the closing party.
It was fun to turn up the dial to ludicrous power even if just for a little while.